Classified Abstracts
Basic 52.
and Engineering
Physical Chemistry
52 techniques for a diffused planar PNP transistor.
## Materials data from another source follow
1.
VASP calculation (PBE-GGA) on crystalline TcI6O2 at its relaxed geometry.

Geometry as CIF:
```
data_TcI6O2
_symmetry_space_group_name_H-M 'P 4/m n c'
_symmetry_Int_Tables_number 128
_symmetry_space_group_name_Hall '-P 4 2n'
_cell_length_a 7.928
_cell_length_b 7.928
_cell_length_c 8.630
_cell_angle_alpha 90.00
_cell_angle_beta 90.00
_cell_angle_gamma 90.00
loop_
_atom_site_label
_atom_site_type_symbol
_atom_site_fract_x
_atom_site_fract_y
_atom_site_fract_z
_atom_site_occupancy
Tc1 Tc 0.000 0.000 0.000 1
I1 I 0.000 0.000 0.309 1
I2 I 0.108 0.321 0.000 1
O1 O 0.000 0.500 0.250 1
```

Energy with MP2020 corrections ... -2.97 eV per atom
Calculated volume ... 30.1 Å³/atom
Uncorrected energy ... -2.82 eV per atom
Total moment ... 2.46 μB per cell

---

2.
VASP calculation (PBE-GGA) on crystalline TcI6O2 at its relaxed geometry.

Geometry as CIF:
```
data_TcI6O2
_symmetry_space_group_name_H-M 'C 1 c 1'
_symmetry_Int_Tables_number 9
_cell_length_a 12.402
_cell_length_b 13.300
_cell_length_c 9.072
_cell_angle_alpha 90.00
_cell_angle_beta 108.65
_cell_angle_gamma 90.00
loop_
_symmetry_equiv_pos_as_xyz
'x,y,z'
'x,-y,z+1/2'
'x+1/2,y+1/2,z'
'x+1/2,-y+1/2,z+1/2'
loop_
_atom_site_label
_atom_site_type_symbol
_atom_site_fract_x
_atom_site_fract_y
_atom_site_fract_z
_atom_site_occupancy
Tc1 Tc 0.000 0.234 0.000 1
I1 I 0.045 0.247 0.727 1
I2 I 0.108 0.072 0.103 1
I3 I 0.186 0.361 0.033 1
I4 I 0.311 0.372 0.453 1
I5 I 0.352 0.101 0.437 1
I6 I 0.474 0.186 0.769 1
O1 O 0.243 0.438 0.232 1
O2 O 0.283 0.074 0.203 1
```

Energy with MP2020 corrections ... -3.37 eV per atom
Calculated volume ... 39.4 Å³/atom
Uncorrected energy ... -3.22 eV per atom
Total moment ... 4.00 μB per cell

---

3.
VASP calculation (PBE-GGA) on crystalline TcI6O2 at its relaxed geometry.

Geometry as CIF:
```
data_TcI6O2
_symmetry_space_group_name_H-M 'P 1'
_symmetry_Int_Tables_number 1
_cell_length_a 7.446
_cell_length_b 9.795
_cell_length_c 9.850
_cell_angle_alpha 90.39
_cell_angle_beta 95.68
_cell_angle_gamma 90.04
loop_
_symmetry_equiv_pos_as_xyz
'x,y,z'
loop_
_atom_site_label
_atom_site_type_symbol
_atom_site_fract_x
_atom_site_fract_y
_atom_site_fract_z
_atom_site_occupancy
Tc1 Tc 0.000 0.000 0.000 1
Tc2 Tc 0.495 0.526 0.496 1
I1 I 0.002 0.004 0.272 1
I2 I 0.042 0.992 0.730 1
I3 I 0.049 0.284 0.003 1
I4 I 0.177 0.378 0.451 1
I5 I 0.350 0.916 0.027 1
I6 I 0.402 0.787 0.496 1
I7 I 0.499 0.519 0.768 1
I8 I 0.520 0.534 0.223 1
I9 I 0.545 0.244 0.495 1
I10 I 0.686 0.152 0.958 1
I11 I 0.843 0.615 0.511 1
I12 I 0.883 0.745 0.989 1
O1 O 0.464 0.029 0.892 1
O2 O 0.466 0.985 0.182 1
O3 O 0.965 0.502 0.376 1
O4 O 0.971 0.549 0.664 1
```

Energy with MP2020 corrections ... -3.39 eV per atom
Calculated volume ... 39.7 Å³/atom
Uncorrected energy ... -3.24 eV per atom
Total moment ... 6.00 μB per cell

---

4.
VASP calculation (PBE-GGA) on crystalline TeI6O8 at its relaxed geometry.

Geometry as CIF:
```
data_TeI6O8
_symmetry_space_group_name_H-M 'P 1 21/c 1'
_symmetry_Int_Tables_number 14
746. Fabrication (Great Britain) G. Bradshaw and C. H. Taylor, Electronics, 11, April 1964,248-251.
and r”
747. Mass spectrometric study of the nonstoichiometric vaporization of cadmium arsenide. (U.S.A.) J. B. Westmore et al., J. Phys. Chem., 68, March 1964, 606-612. 52 748. Mass spectrometric study of gaseous oxides of rhodium and palladium. (U.S.A.) J. H. Norman et al., J. Phys. Chem., 68, March 1964, 662-663. 52 749. An effusion study of the decomposition of copper (II) bromide. (U.S.A.) A torsion effusion study of the reaction ZCuBr,(s) = 2CuBr(s) tBr,(g) leads to values of AH” = 23.4 kcal and ASo = 43 e.u. at 298°K. Results are compared with earlier investigations at higher temperatures. The condensation coefficient for the process appears to be of the order of 0.1 at 50” and to decrease as the temperature increases. Apparent values for the activation enthalpies and entropies for the vaporization and condensation (Author) processes are calculated. (U.S.A.) R. R. Hammer 1964,314-317.
and N. W. Gregory,
J. Phys. Chem., 68, Feb.
Electrical Engineering, Electronic Circuits, Electrical Devices
56 750. The preparation of evaporated micro-circuits. (Great Brifain) Apparatus is described for producing microcircuits made of thinfilm resistors, capacitors, and interconnexions which are evaporated in vacuum through masks on to glass. The glass substrates are arranged above a rotary holder carrying the masks which define the vapour beam emitted from evaporation sources arranged on a turret head. The dimensions of the condensed electrical components must be accurately controlled and precision masks are prepared by a photoresist and chemical etching technique. In conclusion, the procedure adopted in the production of a micro-circuit of the multivibrator type is described. (Great (Author) Britain)
silicon monoxide for capacitors, the conductors are made from gold or manganese-copper alloy. The aim has been to produce deposited circuit elements into which semiconductors will later be integrated ; the resulting substrates are then to be made into full sealed modules containing complete functional circuits. Before incorporating into sealed modules the individual components must be stable and resistant to ordinary climatic conditions likely to be met in manufacture, storage, and assembly. (Great Britain). (Author) G. Manfield, Electronic Engng., 35, Sept. 1963, 558-594. 56 752. Sputtered capacitors in microcircuits. (Great Britain) This article describes work at the Royal Radar Establishment on the preparation of tantalum pentoxide dielectric films by reactive sputtering. Capacitors having capacitance of 0.035 pF/cm2, and dissipation factor less than 0.01 at 1 kcisec, operate at 1OV d.c. with a leakage of only 2 x 10d8 A/cmZ. D. J. Clarke and P. Lloyd, Brit. Communications and Electronics, 11, March, 1964,176-178. 56 753. Microelectronic circuits formed from vapour. (U.S.A.) This article describes new developments in thin-film microcircuit production at Sylvania Electronic Products Inc. Ceramic wafers 0.01 in. thick are coated with a thin layer of high-temperature glass, which is claimed to allow thinner films and more finelydefined conductor lines. A “ new method of current amplification using inexpensive polycrystalline ceramic materials ” is referred to without explanation. Resistive and dielectric films are formed by evaporating “ difficult” materials (e.g., carbon, titanium oxide, and aluminium oxide) in ultra-high vacua with the aid of electron bombardment heating. Resistance per unit area 10 to 100 times greater than that of michrome, and capacitance per unit are 15 times that obtained with silicon monoxide, are claimed. M. Lorant, Electron. Equip. News, 5, April 1964, 98. 56 754. Practical approach to thin-film circuits. P. L. Kirby, Brit. Communications and Electronics, 11, April 1964, 242-6 ; May 1964,320-3. 56 755. Survey of techniques in memory devices. M. Barraclough, Brit. Communications and Electronics, Dec. 1963.920-S.
A. Duthie, et al., Electronic Engng., 35, July 1963, 430-433.
56 751. The development of thin film resistors and capacitors for microcircuits. (Great Britain) Microminiature circuits can be made from thin films of insulating, resistive, or conductive materials, which may be deposited on to This article describes the suitable substrates by evaporation. making of such films and of components such as resistors and capacitors from them. Nickel chromium is used for resistors and
Mechanical Engineering
57 756. Electron beam machining. (Great Britain) This article describes the technique of electron beam machining in vacua, and discusses possible mechanisms which may occur during the process. The factors affecting the smallest beam size obtainable are considered, and some applications are mentioned. J. Kelley, Brit. Communications and Electronics, 11, Jan. 1964, 20-23.
Miscellaneous 61.
Standards. Nomenclature.
Next to the entry, the page also holds crystal structures
Entry 1:
Gd2IrRh after structural relaxation. Source: Materials Project, functional PBE.

Structure (POSCAR):
```
Gd2IrRh
1.0
0.0000 3.4553 3.4553
3.4553 0.0000 3.4553
3.4553 3.4553 0.0000
Gd Ir Rh
2 1 1
direct
0.2500 0.2500 0.2500
0.7500 0.7500 0.7500
0.0000 0.0000 0.0000
0.5000 0.5000 0.5000
```

## Properties
- Calculated formation energy: -0.790 eV per atom
- Space-group type: No. 225
- Density: 12270 kg/m3


Entry 2:
Gd2IrRu after structural relaxation. Source: Materials Project, functional PBE.

Structure (POSCAR):
```
Gd2IrRu
1.0
0.0000 3.4449 3.4449
3.4449 0.0000 3.4449
3.4449 3.4449 0.0000
Gd Ir Ru
2 1 1
direct
0.2500 0.2500 0.2500
0.7500 0.7500 0.7500
0.0000 0.0000 0.0000
0.5000 0.5000 0.5000
```

## Properties
- Calculated formation energy: -0.524 eV per atom
- Space-group type: No. 225
- Density: 12344 kg/m3


Entry 3:
GdSi3Ir after structural relaxation. Source: Materials Project, functional PBE.

Structure (POSCAR):
```
GdSi3Ir
1.0
-2.1059 2.1059 4.9135
2.1059 -2.1059 4.9135
2.1059 2.1059 -4.9135
Gd Si Ir
1 3 1
direct
0.0000 0.0000 0.0000
0.2343 0.7343 0.5000
0.5842 0.5842 0.0000
0.7343 0.2343 0.5000
0.3455 0.3455 0.0000
```

## Properties
- Magnetic moment: 6.87 μB per formula unit
- Calculated formation energy: -0.813 eV per atom
- Space-group type: No. 107
- Density: 8263 kg/m3


Entry 4:
GdTmIr2 after structural relaxation. Source: Materials Project, functional PBE.

Structure (POSCAR):
```
GdTmIr2
1.0
0.0000 3.4221 3.4221
3.4221 0.0000 3.4221
3.4221 3.4221 0.0000
Gd Tm Ir
1 1 2
direct
0.0000 0.0000 0.0000
0.5000 0.5000 0.5000
0.2500 0.2500 0.2500
0.7500 0.7500 0.7500
```

## Properties
- Calculated formation energy: -0.833 eV per atom
- Space-group type: No. 225
- Density: 14723 kg/m3


Entry 5:
GdYIr2 after structural relaxation. Source: Materials Project, functional PBE.

Structure (POSCAR):
```
GdYIr2
1.0
0.0000 3.4494 3.4494
3.4494 0.0000 3.4494
3.4494 3.4494 0.0000
Gd Y Ir
1 1 2
direct
0.0000 0.0000 0.0000
0.5000 0.5000 0.5000
0.2500 0.2500 0.2500
0.7500 0.7500 0.7500
```

## Properties
- Calculated formation energy: 0.472 eV per atom
- Space-group type: No. 225
- Density: 12756 kg/m3


Entry 6:
KLaGdSbO6 after structural relaxation. Source: Materials Project, functional PBE.

Structure (POSCAR):
```
KLaGdSbO6
1.0
0.0000 4.2154 4.2154
4.2154 0.0000 4.2154
4.2154 4.2154 0.0000
K La Gd Sb O
1 1 1 1 6
direct
0.0000 0.0000 0.0000
0.5000 0.5000 0.5000
0.7500 0.7500 0.7500
0.2500 0.2500 0.2500
0.0141 0.0141 0.4859
0.0141 0.4859 0.0141
0.0141 0.4859 0.4859
0.4859 0.0141 0.0141
0.4859 0.0141 0.4859
0.4859 0.4859 0.0141
```

## Properties
- Magnetic moment: 7.00 μB per formula unit
- Energy with MP2020 corrections: -82.4 eV/cell
- Calculated formation energy: -2.844 eV per atom
- Space-group type: No. 216
- Density: 6130 kg/m3


- Among the records above, which one has the lowest density?
  KLaGdSbO6


- Among the records above, which one has the lowest density?
  KLaGdSbO6


- The highest density belongs to which entry?
  GdTmIr2
Units 61
757. New values for the physical constants. (U.S.A.) Instrum. & Control Systems, 37 (1), Jan. 1964, 85-87.
61 758. New definition of the meter. (U.S.S.R.) E. A. Volkova. Measurement Tech.. (8). Feb. 1963. 626-630 : translated from-the Russian in Izmerit.‘fikhnika, (8),‘Aug. 1962; 5-8.